== What to do ==
Now work out how many lines further below have the word "gap_ev" in them; a number is enough.
== Excerpt ==
Record 1
{"formula": "C17H43BN5O5", "method": "wB97M-V/def2-TZVPD", "multiplicity": 1, "homo_ev": -3.86, "charge": -1, "gap_ev": 6.4, "max_force_ev_per_a": 0.40, "total_energy_ev": -36692.1840, "e_lumo_ev": 2.6, "species": ["C", "C", "C", "O", "B", "C", "C", "N", "H", "H", "H", "H", "H", "H", "H", "H", "H", "H", "H", "H", "H", "H", "H", "C", "O", "N", "C", "C", "H", "H", "H", "H", "H", "H", "H", "C", "O", "N", "C", "C", "H", "H", "H", "H", "H", "H", "H", "C", "O", "N", "C", "C", "H", "H", "H", "H", "H", "H", "H", "C", "O", "N", "C", "C", "H", "H", "H", "H", "H", "H", "H"], "coordinates": [[2.510, 2.387, -1.752], [2.399, 1.558, -3.035], [0.960, 1.329, -3.511], [0.135, 0.947, -2.472], [-1.203, 0.424, -2.895], [-2.244, 0.472, -1.635], [-3.083, 1.739, -1.573], [-2.249, 2.946, -1.454], [3.310, 2.028, -1.104], [2.738, 3.435, -1.959], [1.570, 2.343, -1.206], [2.890, 0.588, -2.907], [2.939, 2.065, -3.846], [0.580, 2.252, -3.995], [0.978, 0.564, -4.308], [-1.071, -0.739, -3.348], [-1.653, 1.143, -3.832], [-2.926, -0.391, -1.687], [-1.704, 0.379, -0.686], [-3.773, 1.766, -0.719], [-3.704, 1.768, -2.484], [-2.795, 3.728, -1.117], [-1.845, 3.201, -2.348], [0.491, 1.092, 3.851], [1.534, 0.464, 3.754], [-0.286, 1.488, 2.835], [-1.527, 2.199, 3.073], [0.117, 1.198, 1.461], [0.088, 1.397, 4.836], [-2.371, 1.651, 2.652], [-1.499, 3.192, 2.619], [-1.666, 2.314, 4.148], [0.194, 0.124, 1.295], [1.089, 1.642, 1.255], [-0.621, 1.601, 0.771], [-4.547, -0.322, 1.063], [-3.458, 0.042, 1.453], [-5.038, -1.572, 1.210], [-6.319, -1.955, 0.671], [-4.205, -2.569, 1.855], [-5.226, 0.342, 0.502], [-6.993, -2.315, 1.453], [-6.217, -2.740, -0.083], [-6.776, -1.088, 0.196], [-3.985, -2.282, 2.884], [-3.259, -2.687, 1.325], [-4.729, -3.522, 1.857], [-1.198, -3.721, 3.715], [-1.581, -4.830, 3.384], [-0.231, -3.490, 4.621], [0.121, -2.147, 5.035], [0.454, -4.626, 5.205], [-1.623, -2.793, 3.302], [1.162, -1.909, 4.823], [-0.066, -2.015, 6.105], [-0.492, -1.438, 4.483], [0.953, -5.217, 4.436], [-0.245, -5.283, 5.725], [1.197, -4.256, 5.910], [5.864, 1.996, -3.513], [5.842, 2.163, -2.314], [6.164, 0.818, -4.107], [6.133, 0.647, -5.538], [6.452, -0.317, -3.249], [5.605, 2.789, -4.236], [5.386, -0.092, -5.837], [7.105, 0.333, -5.928], [5.869, 1.597, -6.000], [5.611, -0.524, -2.587], [7.325, -0.124, -2.625], [6.640, -1.187, -3.876]]}


Record 2
{"formula": "H16O8Rb", "method": "wB97M-V/def2-TZVPD", "multiplicity": 1, "homo_ev": -14.07, "charge": 1, "gap_ev": 10.9, "max_force_ev_per_a": 3.32, "total_energy_ev": -17290.6865, "e_lumo_ev": -3.2, "species": ["Rb", "O", "H", "H", "O", "H", "H", "O", "H", "H", "O", "H", "H", "O", "H", "H", "O", "H", "H", "O", "H", "H", "O", "H", "H"], "coordinates": [[-0.065, -0.680, -0.023], [-0.311, -1.131, -2.800], [0.651, -1.276, -2.820], [-0.648, -2.004, -2.946], [0.045, 1.804, -2.097], [-0.353, 2.033, -1.215], [-0.178, 2.597, -2.558], [-1.318, 2.380, 0.048], [-0.652, 3.098, 0.162], [-1.294, 1.811, 0.832], [0.275, -2.379, 2.062], [-0.689, -2.459, 2.196], [0.621, -3.090, 1.593], [-2.909, -0.736, -0.675], [-3.740, -0.804, -0.210], [-2.963, -1.375, -1.332], [2.506, -1.685, 0.491], [3.149, -0.969, 0.290], [2.960, -2.231, 1.107], [1.918, 1.498, 0.256], [1.780, 1.861, -0.586], [2.844, 1.190, 0.297], [-0.670, 0.825, 2.302], [-0.966, 0.243, 3.073], [0.000, 1.481, 2.550]]}


Record 3
== Result ==
2